Whether you want to be an author, a blogger, or both, perfectionism in writing will always get in your way.
This has been a persistent theme in my life since I started my journey to become an entrepreneur in 2005.
And for 12 years, I was unaware of how perfectionism was sabotaging my success.
In this post, I want to help you defeat this pattern, so you can finally become the creative genius that you are.
Keep reading to learn how to stop perfectionism in writing.
Table of Contents
1. Know Your Worth
Perfectionism and low self-esteem are often connected to each other.
Having high standards isn’t by itself a bad thing, and can even help you strive to do your best.
However, it becomes a problem when you evaluate yourself negatively in proportion to your work.
A person with high self-esteem isn’t concerned with how they are perceived. What’s important to them is that they get to do what they love and share it with the world.
Whereas a perfectionist is always worried that they themselves aren’t good enough.
Even if their writing is great, their work becomes a reflection of how they see themselves.
But it can be changed.
You just have to know your own worth, even if you don’t see it yet.
Realize that you are a 100% unique individual with untapped talent and potential.
Here are four tips to improve your self-esteem and start believing in yourself:
- Take baby steps: Perfectionism and a poor self-image won’t disappear overnight. It’ll take time to develop your confidence, so be patient with yourself.
- Set realistic goals: If you set your standards too high, you’re going to set yourself up for failure. Keeping your self-esteem low in the process. Instead, set realistic goals for yourself. Aim for progress, not perfection.
- Be kind to yourself: Talk to yourself the way you would talk to a friend. Would you berate and belittle a friend for trying their best? So, stop beating yourself up or overly criticizing your work.
- Seek professional help if needed: If you find you can’t break out of the perfectionism/low self-esteem cycle on your own, seek professional help. Therapy can be highly effective in these areas.
2. Aim for Good Enough
The problem with perfectionism is that it prevents growth.
That’s because a person striving for perfection never accepts the where they’re at.
Ask yourself: Is my writing good enough?
Imagine accepting your writing exactly as it is right now. This includes recognizing where you could have done better.
When you accept even the parts you don’t like, it helps you discover what you need to learn to become a better writer.
So, put in your best effort and your writing will improve, gradually.
And perfectionism becomes a thing of the past.
3. Get Out of Your Head
It’s easy to get stuck in your head, thinking that every word must be perfect before you can move on.
But this mindset is counterproductive, and it can actually lead to writer’s block. The truth is, no one’s writing is perfect, and the sooner you can accept that, the better.
Here are a few tips to help you avoid overthinking and get out of your head:
- Whenever you notice yourself lost in thought, take several deep breaths and focus on your body. This will get you very present and it’s difficult to overthink when you’re present.
- Silence your inner critic. If you start criticizing your work in your head, STOP. Literally tell your inner voice to stop. This will quiet your mind and enable you to finish your writing.
- Take breaks often. If you’re feeling stuck, take a walk or try a breathing exercise. Sometimes all you need is a break from the task at hand to refresh your mind.
- Remember that done is better than perfect. Your goal should be to finish your project, not to create something that’s perfect. So don’t let perfectionism stand in your way.
4. Avoid All or Nothing Thinking
All or nothing thinking causes us to think that if our writing isn’t perfect, then it must be terrible.
This can paralyze us into a state of fear if we’re not striving for perfection.
Instead of thinking in black and white terms, try to adopt a more flexible mindset. Remind yourself that there is no such thing as perfect writing, only as good as it can be in this present moment.
If you can learn to accept your writing for what it is, you’ll find it easier to let go of your perfectionist tendencies and simply enjoy the process of writing.
Who knows, you might even surprise yourself with what you are capable of producing.
5. Make Mistakes on Purpose
If you’re the kind of person who can’t stand to make a mistake, you may avoid writing altogether because you don’t want to produce anything less than perfect.
The problem with this approach is that it’s impossible to produce perfect work. No matter how hard you try, there will always be room for improvement.
So instead of striving for perfection, aim for imperfect action.
Start by giving yourself permission to make mistakes. Write with the intention of producing something good, but don’t get too hung up on whether it’s perfect.
To help overcome my own perfectionism, my therapist asked me to make mistakes on purpose.
This was a daunting experience, but it worked.
I started doing things like using the wrong card in shops, getting people’s names wrong, and accidentally (purposely) tripping up over my own feet.
The build up to these things was terrifying, but when I did them, nothing frightening happened at all.
It was all in my mind.
So, trying a practice like this is a very freeing experience.
Try it and you might just find it easier to overcome perfectionism in writing.
6. Always Write in Sprints
One of the best ways to overcome perfectionism while writing is to use a creativity technique known as a writing sprint.
Sprints involve setting a timer for a specific amount of time and then writing non-stop for that period of time. Once the timer goes off, you can stop writing and rest, knowing that you’ve done your best for that session.
== Here the page breaks off for materials data ==
-- begin --
VASP calculation (GGA-PBE) on MgMo2 after structural relaxation.

a = 11.0517 Å, b = 2.6533 Å, c = 7.0084 Å
α = 90.00°, β = 102.26°, γ = 90.00°
Last column: nearest neighbours and their distance in Å.
Space group C2/m (No. 12)
Unique sites:
Mg 0.1993 0.0000 0.1503 [4 per cell]  4 Mg 2.65-2.91, 4 Mo 2.80-2.95
Mo 0.0295 0.5000 0.8113 [4 per cell]  7 Mo 2.65-2.90, 3 Mg 2.92-2.95
Mo 0.1324 0.0000 0.5134 [4 per cell]  9 Mo 2.65-2.96, 1 Mg 2.80

Summary:
- volume (Å³ per atom) = 16.735
- energy relative to the lowest polymorph listed for this composition (kcal/mol of atoms) = 4.79
- calculated total energy (eV/atom) = -7.36
- total magnetic moment (μB per cell) = 0.00

***

VASP calculation (GGA-PBE) on K2Tl2SnPb after structural relaxation.

a = 7.0064 Å, b = 17.7677 Å, c = 6.9859 Å
α = 90.00°, β = 90.00°, γ = 90.00°
Last column: nearest neighbours and their distance in Å.
Space group Ibam (No. 72)
Unique sites:
K 0.2412 0.1668 0.0000 [8 per cell]  5 Tl 3.57-3.79, 2 Pb 3.83, 2 Sn 3.89
Tl 0.2364 0.3803 0.0000 [8 per cell]  2 Sn 3.21, 2 Pb 3.31, 3 K 3.57-3.60
Sn 0.0000 0.5000 0.2500 [4 per cell]  4 Tl 3.21, 2 Sn 3.49, 2 Pb 3.50
Pb 0.0000 0.0000 0.2500 [4 per cell]  4 Tl 3.31, 2 Pb 3.49, 2 Sn 3.50

Summary:
- volume (Å³ per atom) = 36.236
- calculated total energy (eV/atom) = -2.61
- total magnetic moment (μB per cell) = 0.00

***

VASP calculation (GGA-PBE) on Sm6YEr3 after structural relaxation.

a = 10.8736 Å, b = 19.2235 Å, c = 6.3286 Å
α = 90.00°, β = 90.00°, γ = 90.00°
Last column: nearest neighbours and their distance in Å.
Space group Cmc2_1 (No. 36)
Unique sites:
Sm 0.0000 0.0334 0.0000 [4 per cell]  1 Y 3.35, 4 Er 3.41-3.53, 4 Sm 3.41-3.73
Sm 0.0000 0.2811 0.2360 [4 per cell]  4 Sm 3.13-3.47, 1 Y 3.34, 1 Er 3.41
Sm 0.1711 0.4555 0.3388 [8 per cell]  4 Er 3.49-3.72, 6 Sm 3.51-3.89
Sm 0.2293 0.2875 0.5341 [8 per cell]  2 Sm 3.13-3.47, 2 Er 3.25-3.49, 2 Y 3.37-3.47
Y 0.0000 0.1922 0.7822 [4 per cell]  2 Er 3.33, 6 Sm 3.34-3.47
Er 0.0000 0.3869 0.8030 [4 per cell]  7 Sm 3.41-3.72, 2 Er 3.68, 1 Y 3.75
Er 0.1671 0.1140 0.4108 [8 per cell]  6 Sm 3.25-3.55, 1 Y 3.33, 1 Er 3.63

Summary:
- volume (Å³ per atom) = 33.071
- energy relative to the lowest polymorph listed for this composition (kcal/mol of atoms) = 0.53
- calculated total energy (eV/atom) = -4.70
- total magnetic moment (μB per cell) = 0.00

***

VASP calculation (GGA-PBE) on CoBBr2 after structural relaxation.

a = 6.5959 Å, b = 6.5959 Å, c = 6.5959 Å
α = 90.00°, β = 90.00°, γ = 90.00°
Last column: nearest neighbours and their distance in Å.
Space group Fm-3m (No. 225)
Unique sites:
Co 0.0000 0.0000 0.0000 [4 per cell]  8 Br 2.86
B 0.0000 0.0000 0.5000 [4 per cell]  8 Br 2.86
Br 0.2500 0.2500 0.2500 [8 per cell]  4 Co 2.86, 4 B 2.86

Summary:
- volume (Å³ per atom) = 17.935
- formation energy (no corrections) (eV per atom) = 1.2729
- energy relative to the lowest polymorph listed for this composition (kcal/mol of atoms) = 6.18
- calculated total energy (eV/atom) = -3.01
-- stop --
== So much for the materials data ==
A Writing Sprint is an effective way to stop perfectionism because it forces you to focus on the task at hand and not on getting every single detail perfect.
It also allows you to get a lot of work done in a short amount of time, which can help boost your confidence and keep you from getting bogged down in the editing process.
If you’re struggling with perfectionism, give sprint writing a try. It just might be the productivity boost you need to get your writing done.
7. Stop Starting Things and Get Better at Finishing
One of the most difficult things about being a perfectionist is finishing things.
For us, it’s easy to start projects. In fact, you probably have a dozen half-finished projects taking up space in your head right now.
But finishing things is another story.
Part of the problem is that you have difficulty knowing when something is good enough. You keep tinkering with it, trying to make it perfect, until you finally give up in frustration.
Then you seek comfort in starting something new. It’s familiar, but new and exciting.
Another part of the problem is that you tend to lose interest in projects once you realize they’re not perfect. Why finish something if it’s not going to be perfect, right!?
Here are some tips to help you overcome these challenges and start finishing things:
- Start with the end in mind. What does done look like? When you know what done looks like, it’s easier to know when something is good enough.
- Break projects down into small, manageable steps. Don’t do everything at once. Focus on one thing at a time and you’ll be less overwhelmed and more likely to finish.
- Set deadlines for yourself, even if they’re unrealistic. Having a deadline will force you to focus and get the work done.
- Get accountability from someone else. Find a friend or family member who will hold you accountable for finishing what you start.
_Misplaced records of crystals_
********
A relaxed structure of SmDy3C2. Source: Alexandria via LeMat-Bulk, functional PBE.

a b c (Å): 13.1408 13.1408 7.4989
angles (deg): 28.78 28.78 31.88
Last column: nearest neighbours and their distance in Å.
Sites, in units of the cell vectors:
1 Sm 0.2432 0.2431 0.2569  3 C 2.53
2 Sm 0.7568 0.7569 0.7431  3 C 2.53
3 Dy 0.2613 0.7635 0.7365  3 C 2.47-2.48
4 Dy 0.7634 0.2613 0.7365  3 C 2.47-2.48
5 Dy 0.2613 0.2613 0.7408  3 C 2.47-2.48
6 Dy 0.2366 0.7387 0.2635  3 C 2.47-2.48
7 Dy 0.7387 0.2365 0.2635  3 C 2.47-2.48
8 Dy 0.7387 0.7387 0.2592  3 C 2.47-2.48
9 C 0.0000 0.0000 0.0000  4 Dy 2.47, 2 Sm 2.53
10 C 0.5000 0.0000 0.0000  4 Dy 2.47, 2 Sm 2.53
11 C 0.5000 0.5000 0.0000  6 Dy 2.48
12 C 0.0000 0.5000 0.0000  4 Dy 2.47, 2 Sm 2.53

- space-group type = R-3m
- calculated volume (Å³/cell) = 281.3
- M_tot (μB/atom) = 0.121
- energy of formation (eV/atom) = -0.246



A relaxed structure of SmDy2C. Source: Alexandria via LeMat-Bulk, functional PBE.

a b c (Å): 3.5910 3.5917 9.1928
angles (deg): 89.97 90.00 119.99
Last column: nearest neighbours and their distance in Å.
Sites, in units of the cell vectors:
1 Sm 0.0000 0.0000 0.0000  6 Sm 3.59, 6 Dy 3.85
2 Dy 0.6668 0.3337 0.3528  3 C 2.48
3 Dy 0.3332 0.6663 0.6472  3 C 2.48
4 C 0.0000 0.0000 0.5000  6 Dy 2.48

- space-group type = P-3m1
- calculated volume (Å³/cell) = 102.7
- M_tot (μB/atom) = 0.000
- energy of formation (eV/atom) = -0.183



A relaxed structure of Sm3DySn2C. Source: Alexandria via LeMat-Bulk, functional PBE.

a b c (Å): 4.8351 4.9158 8.8594
angles (deg): 106.11 105.84 90.00
Last column: nearest neighbours and their distance in Å.
Sites, in units of the cell vectors:
1 Sm 0.0000 0.5000 0.0000  2 C 2.46
2 Sm 0.1607 0.1607 0.3214  1 C 2.62
3 Sm 0.8393 0.8393 0.6786  1 C 2.62
4 Dy 0.5000 0.0000 0.0000  2 C 2.42
5 Sn 0.6387 0.6387 0.2774  7 Sm 3.27-3.47, 2 Dy 3.34
6 Sn 0.3613 0.3613 0.7226  7 Sm 3.27-3.47, 2 Dy 3.34
7 C 0.0000 0.0000 0.0000  2 Dy 2.42, 4 Sm 2.46-2.62

- space-group type = Immm
- calculated volume (Å³/cell) = 194.0
- M_tot (μB/atom) = 0.000
- energy of formation (eV/atom) = -0.628



A relaxed structure of Sm2DySnC. Source: Alexandria via LeMat-Bulk, functional PBE.

a b c (Å): 4.9017 5.0283 5.0283
angles (deg): 90.00 90.00 90.00
Last column: nearest neighbours and their distance in Å.
Sites, in units of the cell vectors:
1 Sm 0.0000 0.0000 0.5000  2 C 2.51
2 Sm 0.0000 0.5000 0.0000  2 C 2.51
3 Dy 0.5000 0.0000 0.0000  2 C 2.45
4 Sn 0.5000 0.5000 0.5000  8 Sm 3.51, 4 Dy 3.56
5 C 0.0000 0.0000 0.0000  2 Dy 2.45, 4 Sm 2.51

- space-group type = P4/mmm
- calculated volume (Å³/cell) = 123.9
- M_tot (μB/atom) = 0.000
- energy of formation (eV/atom) = -0.561



A relaxed structure of SmDyThC. Source: Alexandria via LeMat-Bulk, functional PBE.

a b c (Å): 3.6110 3.6119 9.5275
angles (deg): 89.99 100.93 120.01
Last column: nearest neighbours and their distance in Å.
Sites, in units of the cell vectors:
1 Sm 0.9754 0.3859 0.3753  6 Sm 3.61, 3 Dy 3.76, 3 Th 3.92
********
- Focus on the process, not the outcome. Instead of worrying about whether or not something is perfect, focus on enjoying the process all the way to the end.
Conclusion: How to Stop Perfectionism in Writing
To overcome perfectionism in writing, you have to put things into practice.
The best advice is to start slow and be patient with yourself. Try doing one of these tips at a time and keep practicing for a few weeks.
Another great tip that has helped me is to keep a journal.
If you’re a blogger, you’ll also find my post time management for bloggers helpful.
Image by jannoon028 on Freepik